**Brief:**
Count the lines further down that contain the word "Cl" and give the number alone.
**Source:**
~~~
{
  "formula": "C32H70Cl2N6O36",
  "method": "ωB97M-V/def2-TZVPD",
  "species": ["Cl", "C", "C", "Cl", "H", "H", "H", "H", "C", "N", "O", "O", "H", "H", "H", "C", "N", "O", "O", "H", "H", "H", "C", "N", "O", "O", "H", "H", "H", "C", "N", "O", "O", "H", "H", "H", "C", "N", "O", "O", "H", "H", "H", "C", "N", "O", "O", "H", "H", "H", "C", "O", "C", "O", "O", "C", "H", "H", "H", "H", "H", "H", "C", "O", "C", "O", "O", "C", "H", "H", "H", "H", "H", "H", "C", "O", "C", "O", "O", "C", "H", "H", "H", "H", "H", "H", "C", "O", "C", "O", "O", "C", "H", "H", "H", "H", "H", "H", "C", "O", "C", "O", "O", "C", "H", "H", "H", "H", "H", "H", "C", "O", "C", "O", "O", "C", "H", "H", "H", "H", "H", "H", "C", "O", "C", "O", "O", "C", "H", "H", "H", "H", "H", "H", "C", "O", "C", "O", "O", "C", "H", "H", "H", "H", "H", "H"],
~~~
**Worked solution:**
1